Spell the word that means something bad could happen, such as jumping off a roof is ___________
What is a biography?
a story written about someone else's life
What math operation would you use to solve this problem?
A store ordered food items to restock the shelves. There were 876 products all together. If they bought an equal amount of pretzels, chip, and popcorn, how much of each item did they buy?
In an ecosystem, what is the source of energy?
For each team member, who's biography would you like to read?
answers vary, but should be a person
spell the word that means someone acts in place of another (the actor did a good job playing as Abraham Lincoln)
What is an autobiography?
A story you write about your own life.
A store ordered food items to restock the shelves. There were 876 products all together. If they bought an equal amount of pretzels, chip, and popcorn, how much of each item did they buy?
As the sun's energy moves through the food chain, what happens to the amount of original energy?
(increases or decreases)
For each team member, if you could meet any president of the United States, who would it be?
answers vary, but should be a president
spell the word that is a special type of corn
Who was our biography this week about?
Anne Frank
What is the answer to a division problem called?
### Data records that have nothing to do with the entry
'''
Run P
RbTiPO5 after structural relaxation, computed with GGA-PBE. Values from VASP.

Quantum ESPRESSO input file:
```
&SYSTEM
  ibrav = 0, nat = 64, ntyp = 4
/
ATOMIC_SPECIES
Rb 85.47 Rb.upf
Ti 47.87 Ti.upf
P 30.97 P.upf
O 16.00 O.upf
CELL_PARAMETERS angstrom
10.311 0.000 0.000
0.000 8.618 0.000
0.000 0.000 9.951
ATOMIC_POSITIONS crystal
Rb 0.060 0.178 0.000
Rb 0.152 0.049 0.710
Rb 0.348 0.549 0.210
Rb 0.440 0.678 0.500
Rb 0.560 0.322 0.000
Rb 0.652 0.451 0.710
Rb 0.848 0.951 0.210
Rb 0.940 0.822 0.500
Ti 0.106 0.686 0.993
Ti 0.151 0.216 0.353
Ti 0.349 0.716 0.853
Ti 0.394 0.186 0.493
Ti 0.606 0.814 0.993
Ti 0.651 0.284 0.353
Ti 0.849 0.784 0.853
Ti 0.894 0.314 0.493
P 0.019 0.509 0.665
P 0.229 0.905 0.322
P 0.271 0.405 0.822
P 0.481 0.009 0.165
P 0.519 0.991 0.665
P 0.729 0.595 0.322
P 0.771 0.095 0.822
P 0.981 0.491 0.165
O 0.012 0.159 0.463
O 0.016 0.505 0.509
O 0.077 0.374 0.244
O 0.088 0.639 0.175
O 0.122 0.405 0.754
O 0.135 0.659 0.646
O 0.137 0.023 0.241
O 0.167 0.731 0.775
O 0.247 0.309 0.489
O 0.247 0.514 0.952
O 0.253 0.014 0.452
O 0.253 0.809 0.989
O 0.333 0.231 0.275
O 0.363 0.523 0.741
O 0.365 0.159 0.146
O 0.378 0.905 0.254
O 0.412 0.139 0.675
O 0.423 0.874 0.744
O 0.484 0.005 0.009
O 0.488 0.659 0.963
O 0.512 0.341 0.463
O 0.516 0.995 0.509
O 0.577 0.126 0.244
O 0.588 0.861 0.175
O 0.622 0.095 0.754
O 0.635 0.841 0.646
O 0.637 0.477 0.241
O 0.667 0.769 0.775
O 0.747 0.191 0.489
O 0.747 0.986 0.952
O 0.753 0.486 0.452
O 0.753 0.691 0.989
O 0.833 0.269 0.275
O 0.863 0.977 0.741
O 0.865 0.341 0.146
O 0.878 0.595 0.254
O 0.912 0.361 0.675
O 0.923 0.626 0.744
O 0.984 0.495 0.009
O 0.988 0.841 0.963
```



Run Q
RbTiPO5 after structural relaxation, computed with GGA-PBE. Values from VASP.

Quantum ESPRESSO input file:
```
&SYSTEM
  ibrav = 0, nat = 64, ntyp = 4
/
ATOMIC_SPECIES
Rb 85.47 Rb.upf
Ti 47.87 Ti.upf
P 30.97 P.upf
O 16.00 O.upf
CELL_PARAMETERS angstrom
13.138 0.000 0.000
0.000 6.595 0.000
0.000 0.000 10.674
ATOMIC_POSITIONS crystal
Rb 0.106 0.193 0.000
Rb 0.117 0.783 0.250
Rb 0.383 0.283 0.750
Rb 0.394 0.693 0.500
Rb 0.606 0.307 0.000
Rb 0.617 0.717 0.250
Rb 0.883 0.217 0.750
Rb 0.894 0.807 0.500
Ti 0.129 0.498 0.571
Ti 0.247 0.763 0.820
Ti 0.253 0.263 0.320
Ti 0.371 0.998 0.071
Ti 0.629 0.002 0.571
Ti 0.747 0.737 0.820
Ti 0.753 0.237 0.320
Ti 0.871 0.502 0.071
P 0.000 0.336 0.315
P 0.000 0.664 0.815
P 0.180 0.003 0.563
P 0.320 0.503 0.063
P 0.500 0.164 0.315
P 0.500 0.836 0.815
P 0.680 0.497 0.563
P 0.820 0.997 0.063
O 0.014 0.481 0.426
O 0.015 0.538 0.692
O 0.095 0.801 0.837
O 0.097 0.204 0.293
O 0.114 0.192 0.592
O 0.114 0.814 0.533
O 0.221 0.457 0.433
O 0.223 0.551 0.685
O 0.249 0.459 0.176
O 0.250 0.044 0.447
O 0.250 0.544 0.947
O 0.251 0.959 0.676
O 0.277 0.051 0.185
O 0.279 0.957 0.933
O 0.386 0.314 0.033
O 0.386 0.692 0.092
O 0.403 0.704 0.793
O 0.405 0.301 0.337
O 0.485 0.038 0.192
O 0.486 0.981 0.926
O 0.514 0.019 0.426
O 0.515 0.962 0.692
O 0.595 0.699 0.837
O 0.597 0.296 0.293
O 0.614 0.308 0.592
O 0.614 0.686 0.533
'''
### The data records stop here
quotient: answer to a division problem
(dividend: the number being divided
divisor: number dividing by)
What shows energy moving through the producers, consumers, and decomposers of an ecosystem?
a food chain
Who is in the Legislative branch?
(House of Representatives & Senators)
spell the word that describes something you can add air into to change its shape, like a balloon or bounce house
What are two common characteristics of poems?
rhythm & rhyme
Find the answer (you may use long division or the partial quotient strategy):
215 divided by 8
26 r 7
What is a producer?
a plant (something that produces/makes its own food)
Which group of people in the Legislative Branch of government has exactly 100 members?
spell the word that describes a can with pressurized air
What figure of speech/literary device is used in this sentence:
(alliteration or personification)
Pete's pizza pie had pepperoni, peppers, and pickles.
Find the answer (you may use long division or the partial quotient strategy):
837 divided by 6
139 r 3
What is a consumer?
something that must eat plants and/or other animals to get energy for living
Which group of people in the Legislative Branch of government has 435 members because it is based on each state's population?
House of Representatives